It remains to duplicate all of the block further down verbatim.
~~~
1.
A relaxed TbPm6NdTm2 crystal, computed with PBE-GGA.

a b c (Å): 9.6659 8.8977 8.8977
angles (deg): 117.27 93.94 93.94
Last column: nearest neighbours and their distance in Å.
Atoms (fractional coordinates):
1 Pm 0.3174 0.9841 0.4363  2 Pm 3.25-3.58, 1 Tm 3.48, 1 Nd 3.49, 1 Tb 3.57
2 Pm 0.1194 0.7053 0.4885  3 Pm 3.25-3.43, 3 Tm 3.32-3.48, 2 Nd 3.47-3.57
3 Pm 0.6194 0.4885 0.7053  3 Pm 3.25-3.43, 3 Tm 3.32-3.48, 2 Nd 3.47-3.57
4 Pm 0.6826 0.0159 0.5637  2 Pm 3.25-3.58, 1 Tm 3.48, 1 Nd 3.49, 1 Tb 3.57
5 Pm 0.8174 0.4363 0.9841  2 Pm 3.25-3.58, 1 Tm 3.48, 1 Nd 3.49, 1 Tb 3.57
6 Pm 0.8806 0.2947 0.5115  3 Pm 3.25-3.43, 3 Tm 3.32-3.48, 2 Nd 3.47-3.57
7 Tm 0.0471 0.2943 0.1972  6 Pm 3.32-3.67, 2 Tb 3.41-3.43, 1 Nd 3.58
8 Tm 0.9529 0.7057 0.8028  6 Pm 3.32-3.67, 2 Tb 3.41-3.43, 1 Nd 3.58
9 Pm 0.5551 0.7596 0.1111  7 Pm 3.43-3.80, 1 Tm 3.47, 2 Tb 3.66-3.79
10 Tb 0.2500 0.9695 0.0305  4 Tm 3.41-3.43, 6 Pm 3.57-3.79
11 Tb 0.7500 0.0305 0.9695  4 Tm 3.41-3.43, 6 Pm 3.57-3.79
12 Pm 0.4449 0.2404 0.8889  7 Pm 3.43-3.80, 1 Tm 3.47, 2 Tb 3.66-3.79
13 Pm 0.0551 0.1111 0.7596  7 Pm 3.43-3.80, 1 Tm 3.47, 2 Tb 3.66-3.79
14 Nd 0.2500 0.4071 0.5929  6 Pm 3.47-3.57, 2 Tm 3.58
15 Tm 0.4529 0.8028 0.7057  6 Pm 3.32-3.67, 2 Tb 3.41-3.43, 1 Nd 3.58
16 Pm 0.1826 0.5637 0.0159  2 Pm 3.25-3.58, 1 Tm 3.48, 1 Nd 3.49, 1 Tb 3.57
17 Pm 0.3806 0.5115 0.2947  3 Pm 3.25-3.43, 3 Tm 3.32-3.48, 2 Nd 3.47-3.57
18 Nd 0.7500 0.5929 0.4071  6 Pm 3.47-3.57, 2 Tm 3.58
19 Tm 0.5471 0.1972 0.2943  6 Pm 3.32-3.67, 2 Tb 3.41-3.43, 1 Nd 3.58
20 Pm 0.9449 0.8889 0.2404  7 Pm 3.43-3.80, 1 Tm 3.47, 2 Tb 3.66-3.79

Calculated values
- DFT formation energy (meV per atom) = 117

---

2.
A relaxed TbPmNd2Tm5 crystal, computed with PBE-GGA.

a b c (Å): 8.6661 8.6661 9.8387
angles (deg): 116.13 116.13 90.00
Last column: nearest neighbours and their distance in Å.
Atoms (fractional coordinates):
1 Tm 0.5725 0.6508 0.7234  1 Nd 3.00, 1 Tb 3.10
2 Tb 0.7500 0.2500 0.5000  4 Tm 3.10
3 Tm 0.0725 0.5725 0.7234  1 Nd 3.00, 1 Tb 3.10
4 Tm 0.1508 0.0725 0.7234  1 Nd 3.00, 1 Tb 3.10
5 Nd 0.3831 0.8831 0.0000  1 Nd 2.86, 2 Tm 3.00
6 Tm 0.4275 0.3492 0.2766  1 Nd 3.00, 1 Tb 3.10
7 Nd 0.8831 0.6169 0.0000  1 Nd 2.86, 2 Tm 3.00
8 Tm 0.9275 0.4275 0.2766  1 Nd 3.00, 1 Tb 3.10
9 Tm 0.0000 0.0000 0.0000  4 Nd 3.47, 8 Tm 3.76, 2 Pm 3.85
10 Tm 0.8492 0.9275 0.2766  1 Nd 3.00, 1 Tb 3.10
11 Pm 0.7500 0.7500 0.5000  10 Tm 3.55-3.85
12 Nd 0.6169 0.1169 0.0000  1 Nd 2.86, 2 Tm 3.00
13 Tm 0.5000 0.5000 0.0000  4 Nd 3.47, 8 Tm 3.76, 2 Pm 3.85
14 Pm 0.2500 0.2500 0.5000  10 Tm 3.55-3.85
15 Tb 0.2500 0.7500 0.5000  4 Tm 3.10
16 Nd 0.1169 0.3831 0.0000  1 Nd 2.86, 2 Tm 3.00
17 Tm 0.6508 0.1508 0.7234  1 Nd 3.00, 1 Tb 3.10
18 Tm 0.3492 0.8492 0.2766  1 Nd 3.00, 1 Tb 3.10

Calculated values
- DFT formation energy (meV per atom) = 262

---

3.
A relaxed TbPmNd5Tm2 crystal, computed with PBE-GGA.

a b c (Å): 5.6635 10.5885 10.7440
angles (deg): 90.00 90.00 105.51
Last column: nearest neighbours and their distance in Å.
Atoms (fractional coordinates):
1 Nd 0.6099 0.2198 0.5250  6 Nd 3.54-3.95, 4 Tm 3.62-3.65, 1 Pm 3.87
2 Nd 0.0163 0.0325 0.0218  2 Tb 3.27, 3 Tm 3.48-3.59
3 Tm 0.8896 0.7791 0.2392  1 Pm 3.44, 7 Nd 3.48-3.81, 2 Tb 3.70
4 Nd 0.9837 0.9675 0.5218  2 Tb 3.27, 3 Tm 3.48-3.59
5 Pm 0.7996 0.5992 0.5098  2 Tm 3.44-3.71, 7 Nd 3.52-3.83, 2 Tb 3.68
6 Tm 0.1162 0.2325 0.3160  9 Nd 3.37-3.76, 1 Pm 3.71
7 Nd 0.4796 0.9592 0.7424  2 Tb 3.21-3.37, 2 Tm 3.53, 2 Nd 3.54
8 Pm 0.2004 0.4008 0.0098  2 Tm 3.44-3.71, 7 Nd 3.52-3.83, 2 Tb 3.68
9 Tm 0.8838 0.7675 0.8160  9 Nd 3.37-3.76, 1 Pm 3.71
10 Nd 0.2813 0.5626 0.3095  1 Tb 3.08, 1 Tm 3.37, 2 Nd 3.44
11 Nd 0.2964 0.5928 0.7038  3 Nd 3.44-3.76, 3 Pm 3.52-3.83, 1 Tb 3.54, 3 Tm 3.56-3.81
12 Nd 0.3901 0.7802 0.0250  6 Nd 3.54-3.95, 4 Tm 3.62-3.65, 1 Pm 3.87
13 Tb 0.4109 0.8219 0.4566  5 Nd 3.08-3.37
14 Nd 0.7187 0.4374 0.8095  1 Tb 3.08, 1 Tm 3.37, 2 Nd 3.44
15 Tb 0.5891 0.1781 0.9566  5 Nd 3.08-3.37
~~~
1.
A relaxed TbPm6NdTm2 crystal, computed with PBE-GGA.

a b c (Å): 9.6659 8.8977 8.8977
angles (deg): 117.27 93.94 93.94
Last column: nearest neighbours and their distance in Å.
Atoms (fractional coordinates):
1 Pm 0.3174 0.9841 0.4363  2 Pm 3.25-3.58, 1 Tm 3.48, 1 Nd 3.49, 1 Tb 3.57
2 Pm 0.1194 0.7053 0.4885  3 Pm 3.25-3.43, 3 Tm 3.32-3.48, 2 Nd 3.47-3.57
3 Pm 0.6194 0.4885 0.7053  3 Pm 3.25-3.43, 3 Tm 3.32-3.48, 2 Nd 3.47-3.57
4 Pm 0.6826 0.0159 0.5637  2 Pm 3.25-3.58, 1 Tm 3.48, 1 Nd 3.49, 1 Tb 3.57
5 Pm 0.8174 0.4363 0.9841  2 Pm 3.25-3.58, 1 Tm 3.48, 1 Nd 3.49, 1 Tb 3.57
6 Pm 0.8806 0.2947 0.5115  3 Pm 3.25-3.43, 3 Tm 3.32-3.48, 2 Nd 3.47-3.57
7 Tm 0.0471 0.2943 0.1972  6 Pm 3.32-3.67, 2 Tb 3.41-3.43, 1 Nd 3.58
8 Tm 0.9529 0.7057 0.8028  6 Pm 3.32-3.67, 2 Tb 3.41-3.43, 1 Nd 3.58
9 Pm 0.5551 0.7596 0.1111  7 Pm 3.43-3.80, 1 Tm 3.47, 2 Tb 3.66-3.79
10 Tb 0.2500 0.9695 0.0305  4 Tm 3.41-3.43, 6 Pm 3.57-3.79
11 Tb 0.7500 0.0305 0.9695  4 Tm 3.41-3.43, 6 Pm 3.57-3.79
12 Pm 0.4449 0.2404 0.8889  7 Pm 3.43-3.80, 1 Tm 3.47, 2 Tb 3.66-3.79
13 Pm 0.0551 0.1111 0.7596  7 Pm 3.43-3.80, 1 Tm 3.47, 2 Tb 3.66-3.79
14 Nd 0.2500 0.4071 0.5929  6 Pm 3.47-3.57, 2 Tm 3.58
15 Tm 0.4529 0.8028 0.7057  6 Pm 3.32-3.67, 2 Tb 3.41-3.43, 1 Nd 3.58
16 Pm 0.1826 0.5637 0.0159  2 Pm 3.25-3.58, 1 Tm 3.48, 1 Nd 3.49, 1 Tb 3.57
17 Pm 0.3806 0.5115 0.2947  3 Pm 3.25-3.43, 3 Tm 3.32-3.48, 2 Nd 3.47-3.57
18 Nd 0.7500 0.5929 0.4071  6 Pm 3.47-3.57, 2 Tm 3.58
19 Tm 0.5471 0.1972 0.2943  6 Pm 3.32-3.67, 2 Tb 3.41-3.43, 1 Nd 3.58
20 Pm 0.9449 0.8889 0.2404  7 Pm 3.43-3.80, 1 Tm 3.47, 2 Tb 3.66-3.79

Calculated values
- DFT formation energy (meV per atom) = 117

---

2.
A relaxed TbPmNd2Tm5 crystal, computed with PBE-GGA.

a b c (Å): 8.6661 8.6661 9.8387
angles (deg): 116.13 116.13 90.00
Last column: nearest neighbours and their distance in Å.
Atoms (fractional coordinates):
1 Tm 0.5725 0.6508 0.7234  1 Nd 3.00, 1 Tb 3.10
2 Tb 0.7500 0.2500 0.5000  4 Tm 3.10
3 Tm 0.0725 0.5725 0.7234  1 Nd 3.00, 1 Tb 3.10
4 Tm 0.1508 0.0725 0.7234  1 Nd 3.00, 1 Tb 3.10
5 Nd 0.3831 0.8831 0.0000  1 Nd 2.86, 2 Tm 3.00
6 Tm 0.4275 0.3492 0.2766  1 Nd 3.00, 1 Tb 3.10
7 Nd 0.8831 0.6169 0.0000  1 Nd 2.86, 2 Tm 3.00
8 Tm 0.9275 0.4275 0.2766  1 Nd 3.00, 1 Tb 3.10
9 Tm 0.0000 0.0000 0.0000  4 Nd 3.47, 8 Tm 3.76, 2 Pm 3.85
10 Tm 0.8492 0.9275 0.2766  1 Nd 3.00, 1 Tb 3.10
11 Pm 0.7500 0.7500 0.5000  10 Tm 3.55-3.85
12 Nd 0.6169 0.1169 0.0000  1 Nd 2.86, 2 Tm 3.00
13 Tm 0.5000 0.5000 0.0000  4 Nd 3.47, 8 Tm 3.76, 2 Pm 3.85
14 Pm 0.2500 0.2500 0.5000  10 Tm 3.55-3.85
15 Tb 0.2500 0.7500 0.5000  4 Tm 3.10
16 Nd 0.1169 0.3831 0.0000  1 Nd 2.86, 2 Tm 3.00
17 Tm 0.6508 0.1508 0.7234  1 Nd 3.00, 1 Tb 3.10
18 Tm 0.3492 0.8492 0.2766  1 Nd 3.00, 1 Tb 3.10

Calculated values
- DFT formation energy (meV per atom) = 262

---

3.
A relaxed TbPmNd5Tm2 crystal, computed with PBE-GGA.

a b c (Å): 5.6635 10.5885 10.7440
angles (deg): 90.00 90.00 105.51
Last column: nearest neighbours and their distance in Å.
Atoms (fractional coordinates):
1 Nd 0.6099 0.2198 0.5250  6 Nd 3.54-3.95, 4 Tm 3.62-3.65, 1 Pm 3.87
2 Nd 0.0163 0.0325 0.0218  2 Tb 3.27, 3 Tm 3.48-3.59
3 Tm 0.8896 0.7791 0.2392  1 Pm 3.44, 7 Nd 3.48-3.81, 2 Tb 3.70
4 Nd 0.9837 0.9675 0.5218  2 Tb 3.27, 3 Tm 3.48-3.59
5 Pm 0.7996 0.5992 0.5098  2 Tm 3.44-3.71, 7 Nd 3.52-3.83, 2 Tb 3.68
6 Tm 0.1162 0.2325 0.3160  9 Nd 3.37-3.76, 1 Pm 3.71
7 Nd 0.4796 0.9592 0.7424  2 Tb 3.21-3.37, 2 Tm 3.53, 2 Nd 3.54
8 Pm 0.2004 0.4008 0.0098  2 Tm 3.44-3.71, 7 Nd 3.52-3.83, 2 Tb 3.68
9 Tm 0.8838 0.7675 0.8160  9 Nd 3.37-3.76, 1 Pm 3.71
10 Nd 0.2813 0.5626 0.3095  1 Tb 3.08, 1 Tm 3.37, 2 Nd 3.44
11 Nd 0.2964 0.5928 0.7038  3 Nd 3.44-3.76, 3 Pm 3.52-3.83, 1 Tb 3.54, 3 Tm 3.56-3.81
12 Nd 0.3901 0.7802 0.0250  6 Nd 3.54-3.95, 4 Tm 3.62-3.65, 1 Pm 3.87
13 Tb 0.4109 0.8219 0.4566  5 Nd 3.08-3.37
14 Nd 0.7187 0.4374 0.8095  1 Tb 3.08, 1 Tm 3.37, 2 Nd 3.44
15 Tb 0.5891 0.1781 0.9566  5 Nd 3.08-3.37